### Assignment
What is needed: quote everything further below with every line break kept.
### Source
# 1
YHf3B | PBE-GGA | optimized geometry

Cell lengths 5.120, 5.120, 5.120 Å; angles 90.00, 90.00, 90.00 degrees
Positions (direct):
Hf1 0.000 0.500 0.000
Hf2 0.000 0.000 0.500
Hf3 0.500 0.000 0.000
Y1 0.000 0.000 0.000
B1 0.500 0.500 0.500

E_form ... 2.526 eV/atom
E above lowest polymorph ... 2514 meV/atom
ρ ... 7.9 g/cm³

---

# 2
YHf3B | PBE-GGA | optimized geometry

Cell lengths 4.754, 4.754, 4.754 Å; angles 90.00, 90.00, 90.00 degrees
Positions (direct):
Hf1 0.500 0.000 0.000
Hf2 0.000 0.000 0.500
Hf3 0.000 0.500 0.000
Y1 0.500 0.500 0.500
B1 0.000 0.000 0.000

E_form ... 0.012 eV/atom
E above lowest polymorph ... 0 meV/atom
ρ ... 9.8 g/cm³

---

# 3
HfZnB | PBE-GGA | optimized geometry

Cell lengths 3.419, 4.431, 6.430 Å; angles 101.06, 90.00, 112.69 degrees
Positions (direct):
Hf1 0.114 0.228 0.825
Hf2 0.886 0.772 0.175
B1 0.410 0.819 0.918
B2 0.590 0.181 0.082
Zn1 0.364 0.729 0.564
Zn2 0.636 0.271 0.436

E_form ... -0.299 eV/atom
ρ ... 9.6 g/cm³

---

# 4
Hf2ZnB | PBE-GGA | optimized geometry

Cell lengths 4.460, 4.460, 4.460 Å; angles 60.00, 60.00, 60.00 degrees
Positions (direct):
B1 0.000 0.000 0.000
Hf1 0.250 0.250 0.250
Hf2 0.750 0.750 0.750
Zn1 0.500 0.500 0.500

E_form ... 0.122 eV/atom
E above lowest polymorph ... 443 meV/atom
ρ ... 11.5 g/cm³

---

# 5
Hf2ZnB | PBE-GGA | optimized geometry

Cell lengths 6.787, 6.787, 5.671 Å; angles 53.25, 53.25, 90.00 degrees
Positions (direct):
Hf1 0.173 0.625 0.250
Hf2 0.875 0.827 0.750
Hf3 0.375 0.423 0.750
Hf4 0.577 0.125 0.250
B1 0.500 0.500 0.000
B2 0.250 0.750 0.500
Zn1 0.000 0.000 0.000
Zn2 0.750 0.250 0.500

E_form ... 0.117 eV/atom
E above lowest polymorph ... 438 meV/atom
ρ ... 10.3 g/cm³

---

# 6
HfZn3B | PBE-GGA | optimized geometry

Cell lengths 4.204, 4.204, 4.204 Å; angles 90.00, 90.00, 90.00 degrees
Positions (direct):
Zn1 0.000 0.500 0.000
Zn2 0.500 0.000 0.000
Zn3 0.000 0.000 0.500
B1 0.000 0.000 0.000
Hf1 0.500 0.500 0.500

E_form ... 0.418 eV/atom
E above lowest polymorph ... 0 meV/atom
ρ ... 8.6 g/cm³

---

# 7
HfZn2B | PBE-GGA | optimized geometry

Cell lengths 3.507, 3.507, 10.110 Å; angles 80.01, 80.01, 90.00 degrees
Positions (direct):
Zn1 0.875 0.863 0.750
Zn2 0.375 0.387 0.750
Zn3 0.613 0.125 0.250
Zn4 0.137 0.625 0.250
B1 0.500 0.500 0.000
B2 0.250 0.750 0.500
Hf1 0.750 0.250 0.500
Hf2 0.000 0.000 0.000

E_form ... 0.210 eV/atom
ρ ... 8.8 g/cm³

---

# 8
Hf2ZnB | PBE-GGA | optimized geometry

Cell lengths 3.421, 3.421, 7.090 Å; angles 76.04, 76.04, 60.00 degrees
Positions (direct):
Hf1 0.730 0.730 0.811
Hf2 0.270 0.270 0.189
Zn1 0.500 0.500 0.500
B1 0.000 0.000 0.000

E_form ... -0.321 eV/atom
E above lowest polymorph ... 0 meV/atom
ρ ... 10.4 g/cm³

---

# 9
HfZn3B | PBE-GGA | optimized geometry

Cell lengths 5.258, 5.258, 5.258 Å; angles 90.00, 90.00, 90.00 degrees
Positions (direct):
Zn1 0.000 0.000 0.500
Zn2 0.000 0.500 0.000
Zn3 0.500 0.000 0.000
Hf1 0.000 0.000 0.000
B1 0.500 0.500 0.500

E_form ... 1.897 eV/atom
E above lowest polymorph ... 1479 meV/atom
ρ ... 4.4 g/cm³

---

# 10
HfZr2ZnB | PBE-GGA | optimized geometry

Cell lengths 4.871, 4.822, 4.871 Å; angles 90.00, 90.00, 90.00 degrees
Positions (direct):
B1 0.500 0.500 0.500
Zr1 0.000 0.000 0.500
Zr2 0.500 0.000 0.000
Zn1 0.000 0.000 0.000
Hf1 0.000 0.500 0.000

E_form ... 1.309 eV/atom
ρ ... 6.3 g/cm³

---

# 11
HfZrB3 | PBE-GGA | optimized geometry

Cell lengths 4.207, 4.207, 4.207 Å; angles 90.00, 90.00, 90.00 degrees
Positions (direct):
B1 0.000 0.000 0.500
B2 0.000 0.500 0.000
B3 0.500 0.000 0.000
Hf1 0.500 0.500 0.500
Zr1 0.000 0.000 0.000

E_form ... 1.098 eV/atom
E above lowest polymorph ... 157 meV/atom
ρ ... 6.7 g/cm³

---

# 12
Hf2ZrB6 | PBE-GGA | optimized geometry

Cell lengths 3.521, 5.460, 5.460 Å; angles 120.00, 90.00, 90.00 degrees
Positions (direct):
B1 0.500 0.665 0.665
B2 0.500 0.335 0.000
B3 0.500 0.000 0.335
B4 0.500 0.665 0.000
B5 0.500 0.335 0.335
B6 0.500 0.000 0.665
Zr1 0.000 0.000 0.000
Hf1 0.000 0.667 0.333
Hf2 0.000 0.333 0.667
### Here it is
# 1
YHf3B | PBE-GGA | optimized geometry

Cell lengths 5.120, 5.120, 5.120 Å; angles 90.00, 90.00, 90.00 degrees
Positions (direct):
Hf1 0.000 0.500 0.000
Hf2 0.000 0.000 0.500
Hf3 0.500 0.000 0.000
Y1 0.000 0.000 0.000
B1 0.500 0.500 0.500

E_form ... 2.526 eV/atom
E above lowest polymorph ... 2514 meV/atom
ρ ... 7.9 g/cm³

---

# 2
YHf3B | PBE-GGA | optimized geometry

Cell lengths 4.754, 4.754, 4.754 Å; angles 90.00, 90.00, 90.00 degrees
Positions (direct):
Hf1 0.500 0.000 0.000
Hf2 0.000 0.000 0.500
Hf3 0.000 0.500 0.000
Y1 0.500 0.500 0.500
B1 0.000 0.000 0.000

E_form ... 0.012 eV/atom
E above lowest polymorph ... 0 meV/atom
ρ ... 9.8 g/cm³

---

# 3
HfZnB | PBE-GGA | optimized geometry

Cell lengths 3.419, 4.431, 6.430 Å; angles 101.06, 90.00, 112.69 degrees
Positions (direct):
Hf1 0.114 0.228 0.825
Hf2 0.886 0.772 0.175
B1 0.410 0.819 0.918
B2 0.590 0.181 0.082
Zn1 0.364 0.729 0.564
Zn2 0.636 0.271 0.436

E_form ... -0.299 eV/atom
ρ ... 9.6 g/cm³

---

# 4
Hf2ZnB | PBE-GGA | optimized geometry

Cell lengths 4.460, 4.460, 4.460 Å; angles 60.00, 60.00, 60.00 degrees
Positions (direct):
B1 0.000 0.000 0.000
Hf1 0.250 0.250 0.250
Hf2 0.750 0.750 0.750
Zn1 0.500 0.500 0.500

E_form ... 0.122 eV/atom
E above lowest polymorph ... 443 meV/atom
ρ ... 11.5 g/cm³

---

# 5
Hf2ZnB | PBE-GGA | optimized geometry

Cell lengths 6.787, 6.787, 5.671 Å; angles 53.25, 53.25, 90.00 degrees
Positions (direct):
Hf1 0.173 0.625 0.250
Hf2 0.875 0.827 0.750
Hf3 0.375 0.423 0.750
Hf4 0.577 0.125 0.250
B1 0.500 0.500 0.000
B2 0.250 0.750 0.500
Zn1 0.000 0.000 0.000
Zn2 0.750 0.250 0.500

E_form ... 0.117 eV/atom
E above lowest polymorph ... 438 meV/atom
ρ ... 10.3 g/cm³

---

# 6
HfZn3B | PBE-GGA | optimized geometry

Cell lengths 4.204, 4.204, 4.204 Å; angles 90.00, 90.00, 90.00 degrees
Positions (direct):
Zn1 0.000 0.500 0.000
Zn2 0.500 0.000 0.000
Zn3 0.000 0.000 0.500
B1 0.000 0.000 0.000
Hf1 0.500 0.500 0.500

E_form ... 0.418 eV/atom
E above lowest polymorph ... 0 meV/atom
ρ ... 8.6 g/cm³

---

# 7
HfZn2B | PBE-GGA | optimized geometry

Cell lengths 3.507, 3.507, 10.110 Å; angles 80.01, 80.01, 90.00 degrees
Positions (direct):
Zn1 0.875 0.863 0.750
Zn2 0.375 0.387 0.750
Zn3 0.613 0.125 0.250
Zn4 0.137 0.625 0.250
B1 0.500 0.500 0.000
B2 0.250 0.750 0.500
Hf1 0.750 0.250 0.500
Hf2 0.000 0.000 0.000

E_form ... 0.210 eV/atom
ρ ... 8.8 g/cm³

---

# 8
Hf2ZnB | PBE-GGA | optimized geometry

Cell lengths 3.421, 3.421, 7.090 Å; angles 76.04, 76.04, 60.00 degrees
Positions (direct):
Hf1 0.730 0.730 0.811
Hf2 0.270 0.270 0.189
Zn1 0.500 0.500 0.500
B1 0.000 0.000 0.000

E_form ... -0.321 eV/atom
E above lowest polymorph ... 0 meV/atom
ρ ... 10.4 g/cm³

---

# 9
HfZn3B | PBE-GGA | optimized geometry

Cell lengths 5.258, 5.258, 5.258 Å; angles 90.00, 90.00, 90.00 degrees
Positions (direct):
Zn1 0.000 0.000 0.500
Zn2 0.000 0.500 0.000
Zn3 0.500 0.000 0.000
Hf1 0.000 0.000 0.000
B1 0.500 0.500 0.500

E_form ... 1.897 eV/atom
E above lowest polymorph ... 1479 meV/atom
ρ ... 4.4 g/cm³

---

# 10
HfZr2ZnB | PBE-GGA | optimized geometry

Cell lengths 4.871, 4.822, 4.871 Å; angles 90.00, 90.00, 90.00 degrees
Positions (direct):
B1 0.500 0.500 0.500
Zr1 0.000 0.000 0.500
Zr2 0.500 0.000 0.000
Zn1 0.000 0.000 0.000
Hf1 0.000 0.500 0.000

E_form ... 1.309 eV/atom
ρ ... 6.3 g/cm³

---

# 11
HfZrB3 | PBE-GGA | optimized geometry

Cell lengths 4.207, 4.207, 4.207 Å; angles 90.00, 90.00, 90.00 degrees
Positions (direct):
B1 0.000 0.000 0.500
B2 0.000 0.500 0.000
B3 0.500 0.000 0.000
Hf1 0.500 0.500 0.500
Zr1 0.000 0.000 0.000

E_form ... 1.098 eV/atom
E above lowest polymorph ... 157 meV/atom
ρ ... 6.7 g/cm³

---

# 12
Hf2ZrB6 | PBE-GGA | optimized geometry

Cell lengths 3.521, 5.460, 5.460 Å; angles 120.00, 90.00, 90.00 degrees
Positions (direct):
B1 0.500 0.665 0.665
B2 0.500 0.335 0.000
B3 0.500 0.000 0.335
B4 0.500 0.665 0.000
B5 0.500 0.335 0.335
B6 0.500 0.000 0.665
Zr1 0.000 0.000 0.000
Hf1 0.000 0.667 0.333
Hf2 0.000 0.333 0.667